### Exercise
What is needed: type out the whole of the calculation results further below exactly.

### Contents
First-principles (PBE with a Hubbard U) data for a relaxed NiTe2F crystal, as listed in Alexandria via LeMat-Bulk.

Output
* theoretical density: 6.628 g cm⁻³
* final energy: -2.64 eV per atom

Cell and atoms, written as POSCAR:
```
NiTe2F
1.0
1.5983 0.9228 9.4248
-1.5983 0.9228 9.4248
0.0000 -1.8455 9.4248
Ni Te F
1 2 1
Cartesian
0.0000 0.0000 0.0000 Ni
0.0000 0.0000 2.5997 Te
0.0000 0.0000 25.6745 Te
0.0000 0.0000 14.1371 F
```

=====

Entry 1:
Computed, not measured: crystalline KCaV at its relaxed geometry at the PBE level of DFT.

Lattice parameters (Å, degrees): 3.4008 6.9679 9.6849 109.24 96.89 97.63
Closest atoms and distances in Å follow each position.
Atoms (fractional coordinates):
K (0.0000, 0.0000, 0.0000)  4 K 3.40-3.80
K (0.1988, 0.5797, 0.1540)  4 K 3.40-3.80, 1 Ca 3.64, 2 V 3.75-3.80
Ca (0.3188, 0.7713, 0.5571)  4 V 3.38-3.48, 4 Ca 3.40-3.73, 1 K 3.64
Ca (0.4191, 0.3450, 0.7011)  2 V 3.08-3.09, 2 Ca 3.40
V (0.6697, 0.3145, 0.4001)  1 V 1.85
V (0.8544, 0.0780, 0.4056)  1 V 1.85

Computed properties:
Its space group is P1. For the energy relative to the elements, the calculation gives 613.6 meV/atom.

=====

Entry 2:
Computed, not measured: crystalline KCaV at its relaxed geometry at the PBE level of DFT.

Lattice parameters (Å, degrees): 5.6540 5.6540 5.6540 60.00 60.00 60.00
Closest atoms and distances in Å follow each position.
Atoms (fractional coordinates):
K (0.0000, 0.0000, 0.0000)  4 V 3.46
Ca (0.5000, 0.5000, 0.5000)  4 V 3.46
V (0.7500, 0.7500, 0.7500)  4 Ca 3.46, 4 K 3.46

Computed properties:
Its space group is F-43m. For the energy relative to the elements, the calculation gives 1148.5 meV/atom.

=====

Entry 3:
Computed, not measured: crystalline KCaV at its relaxed geometry at the PBE level of DFT.

Lattice parameters (Å, degrees): 4.2922 5.8848 9.7828 107.47 93.06 90.12
Closest atoms and distances in Å follow each position.
Atoms (fractional coordinates):
K (0.0000, 0.0000, 0.0000)  2 Ca 3.69-3.96, 4 V 3.70-3.88, 2 K 3.92
K (0.3695, 0.3952, 0.7898)  1 V 3.81, 2 K 3.92, 1 Ca 4.26
Ca (0.4869, 0.1692, 0.3392)  4 V 3.18-3.41
Ca (0.8556, 0.7563, 0.5126)  3 V 3.15-3.41
V (0.2826, 0.6218, 0.2449)  1 V 1.83
V (0.6773, 0.5903, 0.1809)  1 V 1.83

Computed properties:
Its space group is P1. For the energy relative to the elements, the calculation gives 611.7 meV/atom.

=====

Entry 4:
Computed, not measured: crystalline KCaV at its relaxed geometry at the PBE level of DFT.

Lattice parameters (Å, degrees): 5.9721 5.9798 8.6334 109.95 110.02 90.70
Closest atoms and distances in Å follow each position.
Atoms (fractional coordinates):
K (0.0000, 0.0000, 0.0000)  1 V 3.66
K (0.3967, 0.3967, 0.7933)  1 V 3.66
Ca (0.2358, 0.7224, 0.3967)  4 V 3.12-3.13
Ca (0.7153, 0.2504, 0.3966)  4 V 3.12-3.14
V (0.6767, 0.6923, 0.2758)  1 V 1.82
V (0.7980, 0.8126, 0.5173)  1 V 1.82

Computed properties:
Its space group is P1. For the energy relative to the elements, the calculation gives 683.2 meV/atom.

=====

Entry 5:
Computed, not measured: crystalline KCaV at its relaxed geometry at the PBE level of DFT.

Lattice parameters (Å, degrees): 3.4394 6.0283 10.6022 79.13 89.79 85.13
Closest atoms and distances in Å follow each position.
Atoms (fractional coordinates):
K (0.0000, 0.0000, 0.0000)  2 K 3.44, 4 V 3.60-3.85, 1 Ca 3.79
K (0.3468, 0.5777, 0.7670)  2 K 3.44
Ca (0.8018, 0.1570, 0.5329)  2 V 3.13-3.30, 2 Ca 3.44
Ca (0.9985, 0.7078, 0.3498)  4 V 3.24-3.39, 3 Ca 3.44-3.63
V (0.3388, 0.2264, 0.2724)  1 V 1.86
V (0.5774, 0.4431, 0.1559)  1 V 1.86

Computed properties:
Its space group is P1. For the energy relative to the elements, the calculation gives 626.0 meV/atom.

=====

Entry 6:
Computed, not measured: crystalline KCaV at its relaxed geometry at the PBE level of DFT.

Lattice parameters (Å, degrees): 5.6078 5.6078 8.9279 90.04 90.04 60.00
Closest atoms and distances in Å follow each position.
Atoms (fractional coordinates):
K (0.0000, 0.0000, 0.0000)  4 Ca 3.92-4.17, 3 V 4.01, 3 K 4.02-4.03

### Outcome
First-principles (PBE with a Hubbard U) data for a relaxed NiTe2F crystal, as listed in Alexandria via LeMat-Bulk.

Output
* theoretical density: 6.628 g cm⁻³
* final energy: -2.64 eV per atom

Cell and atoms, written as POSCAR:
```
NiTe2F
1.0
1.5983 0.9228 9.4248
-1.5983 0.9228 9.4248
0.0000 -1.8455 9.4248
Ni Te F
1 2 1
Cartesian
0.0000 0.0000 0.0000 Ni
0.0000 0.0000 2.5997 Te
0.0000 0.0000 25.6745 Te
0.0000 0.0000 14.1371 F
```

=====

Entry 1:
Computed, not measured: crystalline KCaV at its relaxed geometry at the PBE level of DFT.

Lattice parameters (Å, degrees): 3.4008 6.9679 9.6849 109.24 96.89 97.63
Closest atoms and distances in Å follow each position.
Atoms (fractional coordinates):
K (0.0000, 0.0000, 0.0000)  4 K 3.40-3.80
K (0.1988, 0.5797, 0.1540)  4 K 3.40-3.80, 1 Ca 3.64, 2 V 3.75-3.80
Ca (0.3188, 0.7713, 0.5571)  4 V 3.38-3.48, 4 Ca 3.40-3.73, 1 K 3.64
Ca (0.4191, 0.3450, 0.7011)  2 V 3.08-3.09, 2 Ca 3.40
V (0.6697, 0.3145, 0.4001)  1 V 1.85
V (0.8544, 0.0780, 0.4056)  1 V 1.85

Computed properties:
Its space group is P1. For the energy relative to the elements, the calculation gives 613.6 meV/atom.

=====

Entry 2:
Computed, not measured: crystalline KCaV at its relaxed geometry at the PBE level of DFT.

Lattice parameters (Å, degrees): 5.6540 5.6540 5.6540 60.00 60.00 60.00
Closest atoms and distances in Å follow each position.
Atoms (fractional coordinates):
K (0.0000, 0.0000, 0.0000)  4 V 3.46
Ca (0.5000, 0.5000, 0.5000)  4 V 3.46
V (0.7500, 0.7500, 0.7500)  4 Ca 3.46, 4 K 3.46

Computed properties:
Its space group is F-43m. For the energy relative to the elements, the calculation gives 1148.5 meV/atom.

=====

Entry 3:
Computed, not measured: crystalline KCaV at its relaxed geometry at the PBE level of DFT.

Lattice parameters (Å, degrees): 4.2922 5.8848 9.7828 107.47 93.06 90.12
Closest atoms and distances in Å follow each position.
Atoms (fractional coordinates):
K (0.0000, 0.0000, 0.0000)  2 Ca 3.69-3.96, 4 V 3.70-3.88, 2 K 3.92
K (0.3695, 0.3952, 0.7898)  1 V 3.81, 2 K 3.92, 1 Ca 4.26
Ca (0.4869, 0.1692, 0.3392)  4 V 3.18-3.41
Ca (0.8556, 0.7563, 0.5126)  3 V 3.15-3.41
V (0.2826, 0.6218, 0.2449)  1 V 1.83
V (0.6773, 0.5903, 0.1809)  1 V 1.83

Computed properties:
Its space group is P1. For the energy relative to the elements, the calculation gives 611.7 meV/atom.

=====

Entry 4:
Computed, not measured: crystalline KCaV at its relaxed geometry at the PBE level of DFT.

Lattice parameters (Å, degrees): 5.9721 5.9798 8.6334 109.95 110.02 90.70
Closest atoms and distances in Å follow each position.
Atoms (fractional coordinates):
K (0.0000, 0.0000, 0.0000)  1 V 3.66
K (0.3967, 0.3967, 0.7933)  1 V 3.66
Ca (0.2358, 0.7224, 0.3967)  4 V 3.12-3.13
Ca (0.7153, 0.2504, 0.3966)  4 V 3.12-3.14
V (0.6767, 0.6923, 0.2758)  1 V 1.82
V (0.7980, 0.8126, 0.5173)  1 V 1.82

Computed properties:
Its space group is P1. For the energy relative to the elements, the calculation gives 683.2 meV/atom.

=====

Entry 5:
Computed, not measured: crystalline KCaV at its relaxed geometry at the PBE level of DFT.

Lattice parameters (Å, degrees): 3.4394 6.0283 10.6022 79.13 89.79 85.13
Closest atoms and distances in Å follow each position.
Atoms (fractional coordinates):
K (0.0000, 0.0000, 0.0000)  2 K 3.44, 4 V 3.60-3.85, 1 Ca 3.79
K (0.3468, 0.5777, 0.7670)  2 K 3.44
Ca (0.8018, 0.1570, 0.5329)  2 V 3.13-3.30, 2 Ca 3.44
Ca (0.9985, 0.7078, 0.3498)  4 V 3.24-3.39, 3 Ca 3.44-3.63
V (0.3388, 0.2264, 0.2724)  1 V 1.86
V (0.5774, 0.4431, 0.1559)  1 V 1.86

Computed properties:
Its space group is P1. For the energy relative to the elements, the calculation gives 626.0 meV/atom.

=====

Entry 6:
Computed, not measured: crystalline KCaV at its relaxed geometry at the PBE level of DFT.

Lattice parameters (Å, degrees): 5.6078 5.6078 8.9279 90.04 90.04 60.00
Closest atoms and distances in Å follow each position.
Atoms (fractional coordinates):
K (0.0000, 0.0000, 0.0000)  4 Ca 3.92-4.17, 3 V 4.01, 3 K 4.02-4.03